Missy Gregory, Viking Woman!

Missy Gregory, Viking Woman!
Do Viking Women Run?!?

Tuesday, February 28, 2012

DAMN, That Was Close!!

Hell!! That was a little too close for comfort. You know what I mean. I've heard the stories from others, and now I can say I have experienced that for myself...the extreme need to use the bathroom while out on a walk/run. Oh sure, it starts out as a little tease. A little stomach gurgle. Is that gas or a sign of things to come? No worries, just keep running. Then they come like the contractions of a woman about to give birth, regularly and closer and closer together. I turn around to head for home. Am I too far? How will I possibly make it? I try to monitor if my faster running is making the cramps come faster or if I can time it to make it home before disaster strikes. Wonder if those neighbors would mind my taking a dump in their bushes. Gross, right? Seriously!! Keep running. Please don't let me see anyone I know, as I'm pretty sure that my form (with my ass sticking out and my legs squeezed together) will give away my serious predicament. Keep focused! Stay determined. I develop tunnel vision and start saying some prayers. "Please dear baby Jesus, please let me make it home before I crap myself! PLEASE!!" The painters are at my house and have blocked the front door, so I have to go all the way around an in through the back patio door. Crap! I didn't account for that delay. By the time I enter the house my legs are literally crossed and I'm hobbling through the house. But, Praise God! I made it just in the nick of time. Shaking and exhausted I'm so glad I have my bodybugg on because I'm positive that I burned twice as many calories on todays run. Lord help me, I hope they have port-a-potties set up about every 10 feet at Disneyland's 5K.

Thursday, February 23, 2012

New Toy

Look what I got for myself as a reward for working out for four weeks. It is the BodyMedia Fit CORE Armband. It is supposed to keep track of how many calories I burn each day. I enter in the food that I eat and it should keep me on track for my new healthy lifestyle goal. A couple of years ago I looked into getting the BodyBugg but it was pretty expensive. This was $150 on Amazon and then I pay a monthly membership fee to have access to their program. I like it because it is so small and doesn't bother me too much to wear it. I also like that it is able to show me literally minute by minute how active I am. It even show sleep patterns and how often you wake up during the night.

I did another 3 minute run today. It felt pretty good. I still couldn't do the second 3 minute run and had to stop early, but that's ok. I know I will get there and I am really trying to enjoy this journey. This was the perfect time of year to start because our weather is so damn beautiful. I am a little worried about a couple of things. What will I do when we go on vacations? What will I do when it starts getting hot? I know that I would like to eventually add in some swimming because I am a good swimmer and I love swimming but thats not running.... I need a plan for the vacation concern because I leave for spring break in 15 days. Yippee. I guess if I need to, I can always use the hotel tread mill. I will need to remember to pack work out clothes. :)

Another day down. I'm feeling really good mentally and am happy to feel myself getting stronger physically.

Tuesday, February 21, 2012

A New Outfit for a New Day

OMG! Today was hard. First off, I forgot my damn sunglasses again! What is up with that? Second, I couldn't breathe. Breathing is important for running and walking and living. When I can't breathe I feel like I am in outer space; I'm not really aware of my surroundings. I'm sure this is a phenomenon that happens when there is no oxygen in your brain. The reason this occurred today is because I ran three 1 1/2 minute runs and one 3 minute run!! Yes, I ran 3 whole minutes without stopping. I rock!!

I knew today was going to be a huge challenge so I thought it would be appropriate to wear a new outfit. I think I looked pretty cute in my light pink hoodie and new black pants from the Walmart. whoot woo.

I Kept My Power!

I would also like to report that I kept my power this weekend even though I shared my plan with my spouse. I told my wonderful husband that I had been keeping a deep, dark, secret from him. That I have been walk/running AND that I had been doing it for three whole weeks AND that I started a blog to keep track of my progress AND that I had signed up for a Disneyland 5K!!!!! He said he is proud of me, that he knew something was up, but didn't know what and that he wished I had asked him to join me. I explained that I would have liked to have asked him to join me, but that I was afraid he would "steal my power" and that this was about ME, not us or him. It is about me taking control. About me stepping up to a challenge. About me wanting to feel better about myself. About me setting boundaries for myself and others. He understood. He is good that way. He said he would like to start using the app and I told him I would be happy to help him with that whenever he is ready. I still haven't shared this with very many people. Just the ones I am close to and the ones that I think will support me.

So, that's what's up with me. I am still trying and still taking one step at a time because I am worth it.

Saturday, February 18, 2012

Strongest Day Yet

I did not hesitate at all to go out and do my runs. I'm not sure if I'm getting stronger, building my lung capacity, just getting used to the pain or all of it. Probably a little of each. I am more than a little happy to report that today was my strongest day yet. I ran the entire minute and a half of 5 of my 6 runs and went a hair over two miles today which is my longest yet. Sounds pitiful to say it out loud...oooh, I ran 1 1/2 whole minutes without stopping. Haha but it really is amazing when just three weeks ago I couldn't even run one crappy minute without stopping. Wow. I can't wait to see how this journey progresses. Yay for me.

Thursday, February 16, 2012


Yes, this was my mantra that I was thinking about today as I ran. I know that I am beautiful in my own way. I don't think many others can get past the curves to see it, but it's in there. Hopefully I will drop the pounds and people will be able to see the me that I see.

I also know that I am strong and will continue to grow stronger with each workout.

I am still sick and have adjusted my workouts a little. I also think that realistically I'm not going to be able to keep pace with the C25K program the way it is set up. Luckily I read the "how to use the c25k program" and it gave some really good tips on pushing yourself and if it is too hard going back to the previous week until you build up more endurance. So, I have a plan (until I need to make an alternate plan). I am going to try to make the program twice as long by doing each week for two weeks. If I am able to accomplish this, I should be running 30 minutes straight the first week of June. That will give me 3 months until the Disney 5K to work on speed.

I am beautiful and I am strong and I am taking one day at a time, one minute at a time and one foot in front of the other.

Tuesday, February 14, 2012

It's Official

It's official, I have entered my very first race. It is the Disneyland Family Fun-run 5K. I can't believe I entered it. I even got the pin.(squeal) I am so excited and a little scared.

Happy "V" Day to Me

Happy Valentines Day to you and Happy Valentines Day to me too!

That's what I kept thinking as I was out walk/running today. I find it funny that I actually was looking forward to going out and running today. I really do want to start thinking of myself more and taking care of myself more as well. I'm worth it, I deserve it and I'm just sad that it took 42 years for me to get with the program.

Speaking of programs, I started the second leg of the training today and am amazed that I was able to run most of the 1 1/2 minute runs. I hit the wall as usual right at the middle two runs and stopped early. But the last two were great.

It is sprinkling out today so I left the hound at home (much to her doggy chagrin) because I am always afraid that it will be slippery and I will fall. I like having her with me, but I think that I like running better without her. I can focus on myself a little more and not worry about her wanting to stop and smell the roses all the damn time.

I had a dream last night that my stomach was totally flat! HA! That would (think positive...will) be awesome!!!

Now to stretch. I'm feeling kinda tight today so I better do a little stretching.

Monday, February 13, 2012

To Run or Not to Run...That is the Question

Yesterday I woke up feeling like crap. Well not like crap but not good either. I just don't feel well. I feel like I can't breath. I have a dry cough. I'm fighting something. Should I run, or is it better to take the day off? The problem is that I didn't run the day before and I AM NOT REPEATING MY RESET!

So I decided to run but not push myself too hard. I ran and "speed walked". I have to admit that I am uber proud of myself for going even though I didn't feel well. And as Debbie predicted, I did feel much better when I was done. (for a while) I was also very suprised that the speed walking was much more difficult than I thought it would be. In fact, I think that the speed walking was actually more difficult than the running. hmmmm, I think that will be an alternate day activity that I can add to my bike riding.

I'm so happy that I decided to go. Now I am ready to start on the next leg of training. I feel like I'm strong enough and ready mixed with a healthy dose of scared. I need to remember one day at a time, one foot in front of the other. I can do this.

Thursday, February 9, 2012

Apps Are Everything!

I've gotta say that technology is wonderful. I'm using my iPhone and several apps to get this party started. When I'm ready to begin I open iTunes and decide which play list I want to listen to for the day. Then I open iMapMyWALK app. It is a GPS program that keeps track of where I go, how far I go, how long it takes me and the calories I burned. It is really cool. I love looking at the map after I'm done to see exactly where I was since I feel like my brain is on hold while I'm working out. Finally I open my Get Running app. This is the c25k app that leads me literally minute by minute through my workout for the day. The "British Bitch" as I lovingly call her counts down how many seconds until I start running and stop running and how many runs I have left. I think she laughed at me today. It is also a very cool app that I don't think I could live without. Honestly, I could live without it, but I couldn't run without it.

The final app you might notice is a new app that I got for myself. It is the Countdown app. It is counting down the days until my 5k that I am planning on signing up for. It is the 5k at Disneyland on September 1st. I'm very excited to do it. I needed to have something to strive for and I am a Disneylover. I love all things Disney! Last year when we were at Disneyland I noticed some kind of race happening. I had no idea that they host 1/2 marathons, 5k's and other family fun run type things. So, when I was trying to come up with something that I wanted to do to prove I could run a 5k and to reward myself at the same time, this seemed like a perfect match. My friend Julann is going to run it with me. I love her! She is a great role model and has already been running for a while. I hope I don't let her down and can do this.


Reset Day 1

Damn! damn damn damndamn it. I had to reset my running program because I didn't have a chance to run at all this past weekend because it was too busy and over-scheduled. I didn't think I would be able to run the additional 30 seconds, so I decided to start over. So I started over and it sucked. I ran at 2:30 in the afternoon, which I believe is not the best time of day for my internal clock. It was hot, the sun was in my eyes .... I know I know whah whahh. This whole experience is a learning experience, right? So maybe it was a good thing that I started over. I learned that I don't want to skip a run and I learned that I should not run in the middle of the afternoon.

Thursday, February 2, 2012

Day 2 - Is This Hell?

Ok. I have to admit, I didn’t go into todays walk/run as excited as the first day. Lesson learned…Mental note – Get yourself geared up, psyched up, excited or whatever before you begin your walk/run. Honestly, I did great the first four one minute runs. I ran the whole time without even stopping early which I though was fucking amazing!! But then it happened. I hit the wall. It was pretty much a brick wall. I don’t know if it had to do with my fear of falling and not wanting to run on the wet cement that the sprinklers sprayed causing me to loose what little focus I had today or if I just used up all my mojo on the first four runs. I did rebound and ran my entire 8th run. My 6th, and 7th runs felt like Hell. And of course, as I’m doing the running portion, I think posative thoughts like “I’m going to hell if I don’t start acting right and treating my kids and husband better”….”this is probably exactly what hell is like, running, hauling around my big fat ass with the sun in my eyes”. Now I know why runners wear those running hats with visors and sun glasses…So the damn sun isn’t always in your eyes sucking out valuable energy that you need to focus on running. The walking part is fine. I know how to walk and catch my breath at the same time. :)

I declare that I am proud of myself. I did the second day and I’m still alive. Can’t decide if I like Dayzee running with me or not. She’s fine most of the time, but if she sees a bird she wants to catch it and 99% of the time that’s not where I’m going. The best part of this is finishing and being able to put down how many calories I used in my app on my phone. Today I used 190 Cal. Wheeee

I am strong. I can do this. I can become an unlikely runner. One foot in front of the other.

Day 1 - C25K

Ok. Today is the day. The first day of a new journey I have been thinking about for a while. I’m not promising myself anything other than “I will try”. I have always been amazed and perplexed by people that run. 5k, 10k, half marathon, full marathon and triathlons.

<<<
# 1
Molecular formula: C5H3NO2
Method: DFT, ωB97M-V/def2-TZVPD

Lowest unoccupied orbital energy in eV: -1.721
DFT total energy in eV: -10802.7001
E_HOMO in eV: -9.2
Maximum force in eV Å⁻¹: 15.1

The geometry in ORCA input format:
```
! RIJCOSX wB97M-V def2-TZVPD def2/J DEFGRID3
* xyz 0 1
C -0.357 -0.210 -0.047
C -0.076 1.261 -0.303
C 0.849 -0.753 -0.504
C 2.177 -1.189 -0.444
C -1.665 -0.607 -0.304
H -1.476 -0.447 1.935
H -1.358 2.043 -0.461
H 3.517 -1.348 -0.350
N -2.838 -0.135 -0.748
O -0.260 -0.074 1.477
O 1.487 1.459 -0.250
*
```

Results of the natural (NBO) charge analysis, in e, for atoms 1 through 2: -0.21 0.40

***

# 2
Molecular formula: C54H55ClFGaO27PS
Method: DFT, ωB97M-V/def2-TZVPD

Lowest unoccupied orbital energy in eV: -0.549
DFT total energy in eV: -199914.9704
E_HOMO in eV: -4.5
Maximum force in eV Å⁻¹: 1.3

The geometry in ORCA input format:
```
! RIJCOSX wB97M-V def2-TZVPD def2/J DEFGRID3
* xyz -1 1
C -2.479 -0.656 1.765
C -1.437 -1.756 1.964
C -2.150 -2.894 2.736
C -1.007 -2.328 0.596
C -0.244 -1.376 2.855
C 0.521 -0.036 2.635
C 0.594 0.442 1.178
C -0.086 1.071 3.485
C 1.960 -0.311 3.105
C 2.493 0.163 4.302
C 3.808 -0.116 4.668
C 4.619 -0.880 3.844
O 5.928 -1.103 4.207
C 6.838 -0.437 3.340
C 6.648 1.061 3.333
O 5.953 1.397 2.156
C 5.535 2.777 2.084
C 4.023 2.885 2.157
Ga 3.231 4.382 1.082
F 2.535 5.615 2.194
S 1.467 3.744 -0.262
P 4.700 5.447 -0.478
O 5.539 4.172 -1.189
Cl 6.198 6.339 0.674
C 4.100 -1.393 2.659
C 2.790 -1.105 2.305
H -2.700 -0.126 2.687
H -3.395 -1.151 1.442
H -2.210 0.024 0.964
H -2.769 -3.501 2.086
H -1.407 -3.527 3.220
H -2.756 -2.475 3.538
H -1.125 -1.609 -0.209
H -1.544 -3.239 0.384
H 0.049 -2.588 0.649
H -0.626 -1.342 3.877
H 0.471 -2.194 2.829
H 1.449 1.107 1.077
H 0.741 -0.362 0.468
H -0.267 1.044 0.907
H -1.094 1.319 3.171
H -0.131 0.761 4.527
H 0.518 1.975 3.448
H 1.899 0.764 4.968
H 4.217 0.266 5.590
H 6.719 -0.788 2.315
H 7.834 -0.714 3.671
H 7.620 1.564 3.338
H 6.083 1.376 4.213
H 5.992 3.316 2.914
H 5.953 3.175 1.163
H 3.726 2.958 3.203
H 3.615 1.938 1.801
H 1.978 2.592 -0.703
H 4.906 3.528 -1.538
H 4.735 -1.998 2.031
H 2.419 -1.517 1.379
C 4.369 8.102 -4.950
C 4.658 6.898 -4.421
C 3.842 5.657 -4.761
O 4.146 4.592 -4.257
C 2.725 5.801 -5.677
C 2.454 7.005 -6.190
C 3.265 8.230 -5.864
O 2.925 9.268 -6.412
O 1.448 7.238 -7.028
O 5.661 6.712 -3.594
H 4.940 8.988 -4.714
H 2.134 4.924 -5.907
H 1.491 8.194 -7.232
H 5.654 5.767 -3.336
C -0.672 -8.807 -0.373
C -1.299 -7.774 0.208
C -1.418 -6.426 -0.463
O -2.022 -5.566 0.150
C -0.815 -6.239 -1.765
C -0.186 -7.271 -2.344
C -0.086 -8.627 -1.684
O 0.492 -9.498 -2.308
O 0.398 -7.208 -3.529
O -1.866 -7.830 1.400
H -0.583 -9.775 0.097
H -0.892 -5.267 -2.230
H 0.769 -8.097 -3.696
H -2.245 -6.943 1.562
C -6.669 -2.657 1.723
C -5.802 -3.342 0.961
C -5.968 -4.820 0.686
O -5.138 -5.343 -0.033
C -7.086 -5.516 1.288
C -7.948 -4.831 2.054
C -7.796 -3.348 2.305
O -8.649 -2.819 2.997
O -8.991 -5.379 2.653
O -4.743 -2.796 0.397
H -6.559 -1.600 1.923
>>>

I have also been thinking that if I want to enjoy a long life, I need to loose some weight. Let’s not kid ourselves…I need to loose a lot of weight. It’s a lifestyle change kind of thing, not an eat less exercise more kind of thing. Although I’m sure the later will be part of the plan.

So, I’m gonna think more about me. Set more boundaries for myself and others. Say “no” when I’m not 100% confident that the answer should be yes and put one foot in front of the other and run. God, the running part sounds horrible and I will need to retrain my brain to think this is a good idea. I have decided that the c25k program (couch to five kilometers) program is worthy. At this point I can barely imagine running the one minute comfortably much less a 5k or more, but I’m gonna take it one day at a time.

January 31,2012